## Assignment
Echo only the lines below with the word "C26" in them, please.
## Entries
____________
1.
Entry from the OMol25 dataset: a molecular structure, C17H17AuClF3N2O3S2Te (ωB97M-V with the def2-TZVPD basis set).

Geometry (Å):
F1 1.7548 -4.2324 1.1408
O1 0.1364 -1.8289 1.7257
C1 -1.3727 0.4587 -2.9028
C2 1.6709 3.7327 -3.5694
H1 0.3215 5.2773 -4.1937
Te1 1.6047 1.1621 -0.0852
H2 -0.7982 -3.1129 3.5573
C3 -0.5780 0.5283 -4.0276
H3 -2.8036 0.0607 -0.6330
Au1 -0.6821 0.8297 1.0936
H4 -1.1588 5.0271 -2.2288
O2 2.2232 -0.6580 2.1964
H5 0.1877 -1.9668 5.3579
H6 2.8442 2.1648 -2.7038
H7 2.3194 3.8384 -4.4292
F2 3.6210 -3.2067 1.5301
H8 -2.2366 1.1064 -2.8187
C4 -1.0765 -0.4293 -1.8529
N1 -2.3333 -1.6756 3.4313
C5 -1.8575 -0.4659 -0.6581
C6 -0.8675 -1.7358 5.2480
C7 -0.0052 3.4422 -1.3693
S1 -2.4059 0.9546 2.7438
N2 -1.0492 -0.4129 4.6464
H9 -2.7615 -1.9064 2.5509
C8 1.1231 2.6309 -1.4957
C9 -0.2853 4.3961 -2.3338
H10 -0.8056 1.2215 -4.8258
F3 2.3390 -2.5426 -0.0827
H11 -1.7721 -1.3466 -0.0311
H12 -0.6618 3.3199 -0.5161
C10 0.8627 -1.1848 -3.1115
C11 0.5424 -0.2880 -4.1217
C12 1.9654 2.7894 -2.5963
O3 1.5372 -2.5533 3.5910
Cl1 1.5632 -0.1732 -5.5205
H13 0.3043 -1.9458 -1.1929
H14 -0.5879 0.4312 4.9370
H15 1.7375 -1.8142 -3.2035
H16 -1.3736 -1.7762 6.2139
C13 0.0568 -1.2564 -1.9904
H17 -2.1812 -3.3926 4.6571
C14 -1.5396 -2.6423 4.2020
C15 0.5474 4.5368 -3.4373
S2 1.4719 -1.8917 2.3108
C16 2.3501 -3.0357 1.1702
C17 -1.8911 -0.4340 3.6276

## Properties
LUMO energy (alpha / beta) = 0.27 / -2.30 eV
2S+1 = 3
⟨S²⟩ = 2.0333
energy relative to the best compared isomer or geometry (same formula, charge and spin) = 5.6 kJ/mol

---

2.
Entry from the OMol25 dataset: a molecular structure, C31H25N4O5P2PtSe2 in a non-equilibrium geometry (ωB97M-V with the def2-TZVPD basis set).

Geometry (Å):
H1 -7.1871 0.9190 -2.1938
C1 1.2124 1.8217 3.2576
H2 3.7437 4.6935 -0.0468
C2 -5.6110 -1.8464 -1.6538
H3 3.6744 -0.2970 3.0127
C3 1.5765 -3.7042 -3.6564
C4 4.4027 -2.0041 1.9348
H4 -1.1823 4.7349 0.2001
C5 3.6729 -0.8339 2.0765
C6 2.7756 -2.2165 -5.1191
H5 4.9600 -3.5982 0.6199
H6 2.4936 6.7313 -0.6567
O1 -7.0012 -0.0367 -2.2205
Se1 3.1625 1.5740 -2.1634
C7 2.9474 -1.0194 -0.2063
O2 -4.6243 -2.2638 -0.7470
H7 1.1423 -4.6736 -3.4620
C8 0.5776 5.8643 -0.2593
H8 3.2717 -2.0239 -6.0578
C9 -0.4063 0.9225 -0.4379
C10 2.9501 -0.3419 1.0066
H9 2.5579 2.6913 0.7037
H10 1.4751 -0.7132 5.4762
Pt1 -3.2251 0.4019 0.4893
H11 1.0105 -2.8996 -1.7506
C11 2.6657 4.7061 0.0131
H12 -3.1766 -3.1331 1.2554
P1 2.1279 -0.2319 -1.6333
Se2 -2.3939 2.6444 1.5175
H13 -0.1651 -1.7269 3.9342
H14 -6.0099 -2.3899 0.8430
N1 -1.6367 -0.2111 -1.8445
C12 -0.1884 -0.0427 2.6214
C13 -4.9727 -2.1690 0.6056
H15 3.1566 -0.2509 -4.3460
H16 4.9847 -2.3779 2.7625
C14 1.5069 -2.7162 -2.6934
C15 1.9932 3.5694 0.4273
C16 4.3944 -2.6857 0.7282
C17 -0.1016 4.7295 0.1429
C18 -5.0215 -0.3520 2.5171
C19 1.6262 1.1134 4.3737
H17 2.3841 0.5748 1.0996
O3 -4.9633 0.8118 2.1338
C20 2.7141 -1.2205 -4.1601
C21 2.2175 -3.4582 -4.8632
H18 2.2842 -4.2401 -5.6040
H19 0.0251 6.7540 -0.5215
C22 -4.1359 -1.2446 1.4166
O4 -5.5092 -0.9976 3.3913
C23 1.1440 -0.1652 4.6075
C24 0.4057 0.1368 -1.2711
N2 -4.0041 -2.6308 1.5460
N3 -1.6761 0.6454 -0.8596
C25 0.2280 -0.7409 3.7383
C26 2.0901 -1.4757 -2.9475
H20 1.5777 2.8219 3.0762
C27 1.9624 5.8501 -0.3319
H21 3.6886 -2.7242 -1.2910
O5 -5.1521 0.4786 -1.1005
N4 -0.4158 -0.5181 -2.1151
C28 3.6767 -2.1949 -0.3492
C29 0.3245 1.2275 2.3693
H22 2.3250 1.5638 5.0630
C30 0.6018 3.5770 0.4831
H23 -0.9274 -0.4743 1.9459
H24 -6.5624 -2.3760 -1.4980
C31 -5.8726 -0.3440 -1.6132
H25 -5.2293 -2.0988 -2.6508
P2 -0.3601 2.1045 0.9357

## Properties
LUMO energy (alpha / beta) = -6.18 / -6.20 eV
total charge = +1
energy relative to the best compared isomer or geometry (same formula, charge and spin) = 502.3 kJ/mol

---

3.
Entry from the OMol25 dataset: 3 unconnected molecules or ions with the total composition C7H10BF2O10 in a non-equilibrium geometry (ωB97M-V with the def2-TZVPD basis set).

Geometry (Å):
F1 -0.3245 1.9468 2.0156
H1 4.8293 1.7408 0.3158
O1 3.0435 0.0534 -2.7191
____________
## Written answer
C26 2.0901 -1.4757 -2.9475